Desperate Souls

At the Sheriff Department, Jack was about to attach the sheriff's badge to his jacket, when Derek entered the office.

"Oh. I'm sorry. That's not for you."

"It's been two weeks. Promotion is automatic."

"Unless the mayor appoints someone else within the time period, which I'm doing today."

"So who's it gonna be?"

"After due judgment, Olga Sonork."

"Olga from the newspaper? How does that even make sense?"

"Well, she's covered the Sheriff's office for as long as anyone can remember."

"And she'll do whatever you want her to. You just can't stand the fact that things have been getting better around here, can you?"

"Better? Are you referring to Andrea leaving as better"?


"She made this town safe, and forgive me for saying it, but you haven't earned the right to wear her badge."

"Andrea picked me... to be deputy."

"She was wrong."

"No, she knew what she was doing. She freed this office from your leash. You're not getting it back."

"Actually, I just did. Jack, you're fired." Derek took the Sheriff's badge and left the office.


Loud music played in the kitchen, with a bottle of scotch on the table. Jack tried to repair the broken toaster with a knife. Laura Reed entered, looked at Jack curiously, and turned the music off.

"Toaster broken?"

"It wasn't when I started with it. Pretty sure it is now. I just needed to hit something."

"What's going on?"

"Derek fired me so he can put one of his own puppets in as Sheriff. That's my job."

........
Record 1
A plane-wave DFT calculation with PBE was carried out for an optimized crystal structure of ZnAuIO2.

space-group type = P4/mmm, No. 123
energy relative to the elements, uncorrected = 0.3123 eV per atom
polymorph energy (0 for the lowest one) = 239.1 meV/atom

Cell: 3.996 3.996 7.387 Å, 90.00 90.00 90.00°
Fractional positions:
Zn  0.000  0.000  0.000
Au  0.500  0.500  0.500
I  0.500  0.500  0.000
O  0.000  0.500  0.500
O  0.500  0.000  0.500

---

Record 2
A plane-wave DFT calculation with PBE was carried out for an optimized crystal structure of NaGaSn2Pb.

space-group type = P4/mmm, No. 123
raw total energy = -2.66 eV per atom

Cell: 5.819 5.819 5.708 Å, 90.00 90.00 90.00°
Fractional positions:
Na  0.000  0.000  0.000
Ga  0.500  0.500  0.000
Sn  0.000  0.500  0.500
Sn  0.500  0.000  0.500
Pb  0.000  0.000  0.500

---

Record 3
A plane-wave DFT calculation with PBE was carried out for an optimized crystal structure of Dy2MnAl2Co5.

space-group type = P4/mbm, No. 127
raw total energy = -6.26 eV per atom

Cell: 9.593 9.593 3.242 Å, 90.00 90.00 90.00°
Fractional positions:
Dy  0.175  0.325  0.000
Dy  0.325  0.825  0.000
Dy  0.675  0.175  0.000
Dy  0.825  0.675  0.000
Mn  0.000  0.000  0.000
Mn  0.500  0.500  0.000
Al  0.124  0.624  0.000
Al  0.376  0.124  0.000
Al  0.624  0.876  0.000
Al  0.876  0.376  0.000
Co  0.000  0.500  0.500
Co  0.059  0.801  0.500
Co  0.199  0.059  0.500
Co  0.301  0.559  0.500
Co  0.441  0.301  0.500
Co  0.500  0.000  0.500
Co  0.559  0.699  0.500
Co  0.699  0.441  0.500
Co  0.801  0.941  0.500
Co  0.941  0.199  0.500

---

Record 4
A plane-wave DFT calculation with PBE was carried out for an optimized crystal structure of Np2Tl3CoS6.

space-group type = C2/m, No. 12
energy relative to the elements, uncorrected = -0.7433 eV per atom

Cell: 6.594 6.594 7.945 Å, 98.02 98.02 119.84°
Fractional positions:
Np  0.166  0.834  0.000
Np  0.834  0.166  0.000
Tl  0.000  0.000  0.500
Tl  0.327  0.673  0.500
Tl  0.673  0.327  0.500
Co  0.500  0.500  0.000
S  0.126  0.438  0.814
S  0.249  0.249  0.193
S  0.438  0.126  0.814
S  0.562  0.874  0.186
S  0.751  0.751  0.807
S  0.874  0.562  0.186


First-principles (PBE) data for a relaxed LiPm4Os crystal, as listed in Alexandria via LeMat-Bulk.

Lattice parameters (Å, degrees): 4.935 4.935 7.640 89.99 89.99 90.00
Atoms (fractional coordinates):
1 Pm 0.501 0.998 0.717
2 Pm 0.001 0.498 0.717
3 Pm 0.501 0.997 0.280
4 Pm 0.001 0.497 0.280
5 Os 0.001 0.997 0.498
6 Li 0.501 0.497 0.998

For the total energy, the calculation gives -31.2 eV for the cell shown. The calculation puts the spin magnetization at 0.0000 μB/atom.

***

First-principles (PBE) data for a relaxed LaGdZnGa crystal, as listed in Alexandria via LeMat-Bulk.

Lattice parameters (Å, degrees): 5.222 5.222 5.222 60.00 60.00 60.00
Site moments in Bohr magnetons follow the coordinates.
Atoms (fractional coordinates):
1 Zn 0.750 0.750 0.750  0.03
2 Ga 0.250 0.250 0.250  -0.01
3 La 0.500 0.500 0.500  0.14
........

"Never heard you so passionate about it before. What happened?"

"I don't know. I just... I know I want it back."

"There must be a reason."

"Maybe..." There was a knock on the door. "I just want to beat him." Jack opened the door to see Ms. Wood.

"Good evening, Jack. Sorry for the intrusion. There's something I'd like to discuss with you."

"I'll let you two talk." Laura Reed left them alone.

"Come on in."

"Thank you. I- I heard about what happened. Such an injustice."

"Yeah, well, what's done is done."

"Spoken like a true fighter."

"I don't know what chance I have. He's the mayor, and I'm... well... me."

"Jack, two people with a common goal can accomplish many things. Two people with a common enemy... can accomplish even more. How would you like a benefactor?"

"A benefactor?"

"Do you mind?" They sat down at the kitchen table. "You know, it really is quite shocking how few people study the town charter."

"The town charter?"

"Well, it's quite comprehensive. And the mayor's authority? Well, maybe he's not quite as powerful as he seems." She smiled slightly.


Derek, Olga, several news reporters, and a photographer were gathered at the town hall.

"Everyone deserves to feel safe in their own homes." Derek announced, smiling. "That's why Olga Sonork is my choice for the post of Sheriff. This woman has put the needs of Pixfare above her own for as long as any of us can remember, as chief editor of the Pixfare 'Daily Droid'. Please welcome your new Sheriff." He was about to attach the Sheriff's badge on Olga's shirt when Jack barged in.

"Hang on a second."

"Oh, Jack, this is not appropriate."

"The only thing not appropriate is this ceremony. He doesn't have the power to appoint her."

"The town charter clearly states 'the Mayor shall appoint-'"

"A candidate. You can appoint a candidate. It calls for an election."

"The term 'candidate' is applied loosely."

"No, it's not. It requires a vote. And guess what, Mr. Mayor- I'm running."

"Fine. So is Olga."

"I am?" Derek turned around and gave Olga a look. "I am."

"With my full support. I guess we'll learn a little something about the will of the people."

"I guess we will."


Later, Derek stormed into Ms. Wood's shop.

"Derek." She smiled. He flipped the sign on the door to the 'Closed' side. Ms. Wood stood up. "Shall I remove some things? Make a bit of space for your rage?"

He walked towards her. "You found that loophole in the town charter."

"Legal documents- contracts if you like- always been a fascination of mine."

"Yes, you love to trifle with technicalities."

"I like small weapons, you see- The needle, the pen," She looked at Derek for a moment. "the fine point of a deal." She turned away again. "Subtlety – not your style, I know."

"You're a witch."

She chuckled. "I think your grief's getting the better of you, Derek. Shame what happened to Andrea."

"Don't you talk about her? You know nothing."

"What is there to know? She left."

"Are you really going up against me?"

"Not directly. We are, after all, both invested in the common good. We're just picking different sides."

"Well, I think you picked a really slow horse this time. It's not like you to back a loser."

"He hasn't lost yet."

"He will."

"Never underestimate someone who's acting for their child."

"She's not his child. Not legally."

"Oh. Now, who's trifling with technicalities?"


"This is what I've been trying to tell you." Hilary tried to convince Jack. They were seated in a booth at the Diner. "Good can't beat evil because good doesn't do this kind of thing. My dad plays dirty. That's why you can't beat him, ever."

"I have a new ally. Ms. Wood said she's going to help."

"Ms. Wood? She's even worse than he is. You already owe her one favor. You don't want to owe her any more. Don't do this."


Jack entered the mayor's office, holding the newspaper in his hand. "I don't know how you got it, but that's an abuse of power and illegal. Plus, this hurts Hilary."

"She would've learned eventually. We all lose our heroes at some point." Derek and Jack exited the office and walked through the building.

"She doesn't need to lose anything more. She's depressed, Mr. Mayor. She doesn't have any… any hope. Don't you see that?"

"He's fine." Derek switched off the lights.

"She's not fine. I mean, think about it- Watching her adoptive father throw an illegal smear campaign against her birth father? You don't think that would be upsetting?"

"All I did was expose her to the truth. And as for the legality, I did nothing wrong. But you and Olga will have a chance to get into all that at the debate."

"Debate?" Jack looked surprised.

"Yes, Jack, there's a debate." They walked down a staircase leading to the building's front door. "You two can talk about jail time and juvie records and maybe even your new association with Ms. Wood. She's a snake, Jack. You need to be careful who you get into bed with."

"I'm not getting into bed with anyone. I'm just fighting fire with-"

Derek opened the door when an explosion was set off, setting the next room on fire. Both were thrown back from the blast. Derek's ankle was crushed by a piece of debris and immobilized. Jack tossed the debris away, freeing him. "Alright. Come on. Let's go. We got to get out of here."

"I can't move! You have to get me out. Help me!" Jack was about to leave, but Derek grabbed his hand and stopped him. "You're going to leave me, aren't you?" Jack didn't answer, broke free from his grasp, and left into the next room. Derek couldn't get up on his own. With a fire extinguisher, Jack was able to get the fire under control and cleared the way to the exit. Holding onto him, Jack supported Derek and they made it out of the building. Outside, a reporter took a picture of them.

"Oh! Oh! Ow! My ankle! Set me down gently!"

"Seriously? You're complaining about how I saved your life?"

Fire engines soon approached the scene. "The firemen are here. It's not like we were really in danger."

Jack started walking away. "Fine. Next time I'll just… I'll just… Ah, you know what?" He turned to face Derek. "Next time, I'll just- No, you know that? Next time, I'll do the same thing and the time after that, because that is what decent human beings do. That's what good people do."

"Hey, did Jack really rescue my dad?" Hilary asked a firefighter.

On a stretcher, wearing an oxygen mask, Derek overheard Hilary and threw off the mask in anger. "Enough! I'm fine."

Olga ran up to Derek with a camera and took a picture. "Nice shot of the victim?"

"Olga, what are you doing? Are you trying to hand this election to him?"

"But it's news."

"He's the competition, woman!"

Jack and various people from the town were talking in a group.

"Did you really rescue Derek?" Laura Reed asked.

"He did." Hilary cried, coming over. "The fireman said it. They saw it."

"You are a hero." Michelle smiled.

"We should see if they have a picture of the rescue." Laura Reed suggested.

"We could make campaign posters." added Ellen.

"Oh, people would love that!" Felix said with excitement. "That's a great idea. Wait. So I'll get the photo and then you…" The group walked away, leaving Jack and Hilary alone.

"This is how good wins." He knelt beside her, smiling. "You do something good and people see it and then they want to help you."

"Maybe you're right."

"You see, Hilary? We don't have to fight dirty." Jack noticed a piece of fabric similar to the one Ms. Wood was preparing earlier in the day while they had their conversation.


Ms. Wood was in her shop, using a rag to clean her hands which were blackened with soot. Jack entered the shop.

"Loads of visitors today." He slammed the door behind him. "Do hope you're not going to break my little bell."

"You set the fire."

"I've been right here, Jack." She scoffed.

Jack approached her, holding the fabric in his hands. "Take a whiff. It smells like your sheep oil stuff. Turns out it's flammable."

"Well, are you sure? There's some construction working on at City Hall at the moment. There are loads of flammable solvents used in construction."

"Why did you do it?"

She stopped cleaning her hands and walked around her desk. "If I did it, if I did it, that would be because you can't win without something big, something like, uh, oh, I don't know, being the hero in a fire?"

"How could you even know I'd be there at the right time?"

"Maybe Derek's not the only one with eyes and ears in this town or maybe... I'm just intuitive. Where I involved."

"I could've run and left him there."

"Not the type."

"I can't go along with this."

She gave him half of a smile. "You just did. This is just the price of an election, Jack."

"A price I'm not willing to pay." He threw the fabric down at her desk. "Find another sucker."

"Okay, go ahead. Expose me. But if you do, just think about what you'll be exposing and what you'll be walking away from." Jack glared at her for a moment, then started to leave, heading for the door. "Oh, yes, and uh, who you might be disappointing."

Jack turned around, glared at her, and slammed the shop door.


Above the entrance of the town hall hung a banner that read 'Debate Today - Sheriff's election.' Laura Reed stapled 'Swan for Sheriff' promotion posters on the bulletin board. Going onto the other side of the board, she ran into Clark.

"Clark, hi."

"Laura Reed. Hi."

"I was just, uh..."

"Yeah, me, too."

"How are things?"

• Attached: calculated crystals:
<<<
DFT (PBE-GGA) results for a geometry-optimized Mn2AlAg structure.

Lattice parameters (Å, degrees): 4.712 4.712 2.838 90.00 90.00 108.73
Fractional positions:
Mn (0.000, 0.500, 0.000)
Mn (0.500, 0.000, 0.000)
Al (0.000, 0.000, 0.500)
Ag (0.500, 0.500, 0.500)

Calculated values
- Fermi-level density of states: 3.2 states/eV/f.u.
- ΔH_f (0 K): 0.44 eV/f.u.
- Symmetry: No. 65



DFT (PBE-GGA) results for a geometry-optimized Mn2AlAg structure.

Lattice parameters (Å, degrees): 4.290 4.290 4.290 60.00 60.00 60.00
Fractional positions:
Mn (0.000, 0.000, 0.000)
Mn (0.250, 0.250, 0.250)
Al (0.500, 0.500, 0.500)
Ag (0.750, 0.750, 0.750)

Calculated values
- Fermi-level density of states: 5.3 states/eV/f.u.
- ΔH_f (0 K): 0.90 eV/f.u.
- Symmetry: No. 216



DFT (PBE-GGA) results for a geometry-optimized Mn2AlAg structure.

Lattice parameters (Å, degrees): 8.772 8.772 8.772 18.21 18.21 18.21
Fractional positions:
Mn (0.000, 0.000, 0.000)
Mn (0.260, 0.260, 0.260)
Al (0.515, 0.515, 0.515)
Ag (0.758, 0.758, 0.758)

Calculated values
- Fermi-level density of states: 2.8 states/eV/f.u.
- ΔH_f (0 K): 0.58 eV/f.u.
- Symmetry: No. 160
>>>

"Okay. Oh, I got a job. Yeah. I'm working at the animal shelter."



She noticed the posters he put up read 'Olga Sonork Sheriff'. "So... Olga?"

"Yeah, well, my wife is friends with Derek, so..."

"Oh, right. How is Evelyn?"

"Good. She's meeting me here later."

"That's wonderful." She stapled the posters more forcefully to the wall. "Well, I'm all out of posters. I'm going to go get some more." She quickly walked away.


Inside the Town Hall, Olga was getting ready for the debate.

Felix practiced his opening speech. "Citizens of Pixfare, uh- we welcome you to- Uh- Welcome citizens of Pixfare. Oh. Uh, we welcome you- citizens of Pixfare, welcome, uh..."

Jack sat at the podium. Drawing back the curtains, he noticed Hilary sitting in the audience who smiled at him. Laura Reed approached him, handing Jack some cards. As he took them, she also handed him a bottle of water.

"I'm not going to win."

"What are you talking about? Everyone's talking about what you did in the fire."

"No, Hilary's right. I can't beat Derek at this. Not the way he fights. Watch and see." He took a sip of water.

"Is this really about beating Derek?"

Jack drew back the curtains again to get another look at Hilary. "It's just-"


"I wanna show her that good can actually win."

"That's why you want to win it for her, but why do you want to win the election for yourself?"

"That is why. I wanna show her that a hero can win. And if I'm not... If I'm not a hero and I'm not a savior, then what part do I have in her life? Okay, there it is."

"There it is." Jack drew back the curtains a third time. He noticed Ms. Wood entering the Town Hall.

Felix welcomed the audience. Jack and Olga were seated on either side of him.

"So, without further ado, I'd like to introduce you to the candidates– Olga Sonork" he briefly looked at Olga. "and Jack Swan." He briefly looked at Jack. "Uh, Ms. Sonork, your opening statement."

Olga walked to the podium. "I just wanna say that if elected, I wanna serve as a sentiment of the best qualities of Pixfare- Honesty," From his seat, Derek silently mouthed her words. "Neighborliness... and strength. Thank you." The audience applauded. Derek cheered her proudly.

"And Jack Swan." Felix announced.

Jack walked up to the podium. "You guys all know I have... what they call a, uh, troubled past, but you've been able to overlook it because of the, um... hero thing. But here's the thing... The fire was a setup." The audience began to murmur amongst themselves. "Ms. Wood agreed to support me in this race, but I didn't know that that meant she was going to set a fire. I don't have definitive evidence, but I'm sure. And the worst part of all this was... The worst part of all this is I let you all think it was real... and I can't win that way. I'm sorry." Ms. Wood stood up and left the Town Hall. Jack stepped away from the podium.


At the Diner, Jack finished his drink.

"Another?" Michelle asked from behind the counter.

"Oh, yeah." Hilary soon entered the Diner. "Hey, Hilary." She handed him a walkie talkie from her backpack. "What's this for?"

"You stood up to Ms. Wood." She sat beside Jack. "It's pretty amazing."

"Well, she did something illegal."

"That's what heroes do- expose stuff like that." Michelle brought Jack another drink and placed a glass of milk in front of Hilary. "I shouldn't have given up on Operation Cobra." Hilary leaned closer, whispering to Jack.

Derek and Olga entered the Diner.

"I thought I might find you here... with a drink. And my daughter."

"Here to card me, officer?" Jack asked Olga.

"Well, not at all. In fact, I think I'll join you."

"Here? I don't know. I think they're setting up a back room for the victory party."

"Well, you'll have to tell me what that's like."

Looking angry for a moment, Derek took the Sheriff's badge out of his pocket and then smiled. "Congratulations..." He placed the badge in front of Jack on the counter. "Sheriff Swan."

"Wait. What?" Hilary asked, confused. Jack also looked shocked.

"It was a very close vote." Derek explained. "But people really seem to like the idea of a sheriff brave enough to stand up to Ms. Wood."

Slowly, people began to enter the Diner.

"Are you joking?"

"He doesn't joke." Olga shook her head.

"You didn't pick a great friend in Ms. Wood, Jack... but she does make a superlative enemy. Enjoy that." Derek smiled at Jack.


Jack entered the Sheriff's office and placed his things on the desk. Looking up, he noticed Andrea's jacket hanging on the coat rack.

"The Sheriff's jacket." Ms. Wood said, standing by the door. "I thought you might want it after all."

Jack jumped back, startled. "You do know I'm armed, right?"

She smiled and entered the room. "It's all part of the act, my dear. Political theater in an actual theater. I knew no one was going to vote for you unless we gave you some kind of extraordinary quality. And I'm afraid saving Derek from the fire just wasn't gonna do now. We had to give you a higher form of bravery. They had to see you defy me, and they did."

"No way. There's no way you planned that."

"Everyone's afraid of Derek, but they're more afraid of me. By standing up to me, you won them over. It was the only way."

"You knew I'd agree."

"Oh, yeah." She nodded. "I know how to recognize a desperate soul."

"Why did you do this?"

"We made a deal sometime back. We established that you owed me a favor. I know that can be a bad feeling- owing someone. Now that you're sheriff, I'm sure we'll find some way for you to pay back what you owe me." She left the Sheriff's office. "Congratulations."